Sedgwick County Emergency Management History

The evolution of modern-day Emergency Management has always been rooted in the idea of preparedness. Our roots began with the Wichita-Sedgwick County Civil Defense Department in the late 1940s. The Civil Defense Act of 1950 was signed into law by President Harry Truman which mandated things such as emergency plans, public fallout shelters, emergency control centers, sky spotters, neighborhood wardens, air raid sirens, supply caches and more. These mandated programs all still exist in some form today. We still have local emergency plans, emergency operation centers, sky spotters for storms, neighborhood CERT teams, outdoor warning sirens, and supply caches.
Over time our name changed from Civil Defense to Civil Preparedness. Once the threat of an attack on our homeland passed, our name was changed to Disaster Preparedness, then Disaster Management, before finally settling in with Emergency Management. Regardless of the name, our mission has always been the same, to prepare our community for our worst days and respond as a coordinating agency when the big one happens.
Our Outdoor Warning Siren History
# 1
Molecular formula: C16H32Br16
Method: DFT, the ωB97M-V functional and the def2-TZVPD basis

For the frontier orbital gap, the calculation gives 9.6 eV. The total energy comes out at -1137790.91463 eV. The value obtained for the relative energy (zero: lowest compared OMol25 entry of this formula, charge and spin) is 179.9 kJ/mol. Its HOMO energy is -0.355 Eh. Its SMILES is BrCCBr.BrCCBr.BrCCBr.BrCCBr.BrCCBr.BrCCBr.BrCCBr.BrCCBr. The lowest unoccupied orbital energy is -0.0020 Eh.

ORCA input file:
```
! wB97M-V def2-TZVPD RIJCOSX def2/J DEFGRID3
* xyz 0 1
Br -1.0895 -6.2825 0.3893
Br -4.4432 0.9372 6.8215
Br -4.6248 2.2605 0.3716
Br -0.8511 -8.0371 -2.8321
Br -2.8452 -2.9369 3.9262
Br -2.0700 1.8369 -4.3040
Br -1.9545 0.7079 2.7797
Br 5.7669 2.2881 0.6028
Br 0.0220 -2.2461 -0.6888
Br -0.1665 2.4375 -0.5720
Br 3.3068 -4.0576 -1.9652
Br 2.7816 2.8956 -2.9374
Br -4.0408 4.5675 3.0881
Br 3.3218 -1.2588 0.7327
Br 0.2014 -1.3119 4.9759
Br 0.1300 5.9560 -5.2283
C 3.6650 2.0976 -1.2956
C -0.1914 -0.4190 -0.0225
C -2.9574 0.9593 5.5199
C 4.6990 -1.9238 -0.5920
C -0.0354 -2.7508 3.5298
C -3.8796 4.8495 1.0839
C 0.0405 0.5270 -1.2339
C 4.0454 -2.2051 -1.9153
C -3.4624 0.9105 4.0220
C -1.0181 -3.8149 3.8633
C -0.6896 4.2003 -5.3555
C 5.0990 2.5217 -1.2628
C -3.3264 3.7027 0.3648
C -0.1965 -6.1595 -2.4727
C 0.3604 -6.0072 -1.0136
C -1.2731 3.6215 -4.0479
H -4.0238 1.8058 3.7546
H -1.1884 -0.1212 0.3022
H 3.1758 2.4189 -0.3760
H -4.1056 0.0463 3.8560
H 0.1046 3.5064 -5.6308
H -3.1823 4.0333 -0.6638
H 5.2639 -2.7130 -0.0959
H -4.8710 5.1669 0.7604
H -0.8897 -4.2815 4.8400
H -0.1271 -2.2378 2.5725
H 0.7637 -5.0148 -0.8119
H 0.9532 -3.2014 3.4420
H -3.2476 5.7363 1.0375
H 1.0399 0.3396 -1.6266
H -2.4145 3.3467 0.8442
H 5.7328 1.8880 -1.8830
H 5.4835 -1.1734 -0.6896
H -2.3744 1.8495 5.7558
H 3.1836 -1.5515 -2.0503
H 0.4455 -0.1650 0.8248
H -0.6767 0.4145 -2.0470
H -0.4507 3.5134 -3.3408
H -1.4695 4.3297 -6.1059
H -1.0463 -4.5856 3.0931
H -2.4667 0.0214 5.7800
H 5.1715 3.5584 -1.5916
H 4.6685 -2.0008 -2.7859
H 0.5907 -5.9508 -3.1972
H 1.1610 -6.7205 -0.8181
H -2.0179 4.2912 -3.6178
H 3.4966 1.0208 -1.3070
H -1.0071 -5.4355 -2.5559
*
```

# 2
Molecular formula: C24H32N3O
Method: DFT, the ωB97M-V functional and the def2-TZVPD basis

For the frontier orbital gap, the calculation gives 4.8 eV. The total energy comes out at -31917.58256 eV. The value obtained for the relative energy (zero: lowest compared OMol25 entry of this formula, charge and spin) is 407.1 kJ/mol. Its HOMO energy is -0.329 Eh. The lowest unoccupied orbital energy is -0.1518 Eh.

ORCA input file:
```
! wB97M-V def2-TZVPD RIJCOSX def2/J DEFGRID3
* xyz 1 1
O -1.7789 -2.1827 0.1215
N -2.1541 -4.6438 1.8399
N -0.9778 -3.4962 3.2619
N -0.9357 2.1200 -2.5188
C -2.7066 -5.1915 0.6145
C -1.8944 1.5081 -4.6121
C 2.2933 -0.5999 0.5413
C -0.4911 0.7569 -2.7222
C 5.0511 0.0187 0.6832
C -1.1250 0.3041 -4.0505
C -1.6576 -4.4674 3.9883
C -2.3972 -5.1761 3.1045
C 3.1662 -1.3314 1.3909
C 4.2049 0.7576 -0.1565
Sedgwick County and Wichita respectively has always been synonymous with being "Tornado Alley" and while our history may indicate that. Our tornado sirens original intent was to warn of enemy air and atomic bomb attacks. Our outdoor warning system began with a single test siren on the roof of the Roosevelt School in April of 1952 and grew to 152 sirens spread throughout the county. More remarkably, Sedgwick County still owns and operates 4 of the original 13 sirens we installed in 1953. They represent the oldest serving civil defense era Thunderbolt sirens in the country.
Click Here for a Complete History of our Outdoor Warning System.
The Oldest Serving Thunderbolts in the Country.
Sedgwick County is a unique community in many ways, one way in particular is that we have the oldest serving Civil Defense Era Thunderbolt Sirens in the country. Four of the original sirens installed in 1953 were still on their poles actively serving in our system in 2022 before we took them down for refurbishment. When the Thunderbolts were produced, they were provided a serial number which began with T- 001, T-002, and so on. Sedgwick County possesses T-75, T-79, T-104, and T-116, all four of which were installed in April of 1953.
Manufactured by Federal Signal, the Thunderbolt was the siren of choice by many Civil Defense authorities and emergency management agencies from the early 1950s through the late 1980s. Since the Thunderbolt was introduced in 1952 during the beginning of Cold War, it saw primary use as an attack warning siren. Phases of the attack signal was stressed in advertising as one of the most distinguishing features of the Thunderbolt. The dramatic volume in the down-pitch phase of the signal is usually the part of the signal that carries the farthest and is the most "attention-getting."
Later years of the Thunderbolt's production saw a wide variety of different models made to suit a variety of functions as its popularity grew.
Check out the individual history for Thunderbolts here.